A vision for Indigenous employment 

Leon Morris

A man who has spent his life working in Indigenous affairs in government and non-government organisations shared his vision for a skilled Indigenous workforce during the Charles Darwin Symposium in Alice Springs on Friday.

Mr Leon Morris advised that his views did not necessarily reflect government policy, but were based on his current role and understanding as Director of Indigenous Economic Development, Department of Business, Economic and Regional Development, Northern Territory Government.

Mr Morris said the NT had particular challenges in finding productive economic activity for 28,641 of the 33,304-strong Indigenous population aged between 15 and 64.

In the NT urban area, 11,249 Indigenous people were of working age, of which 2751 were employed, he said.

These quantum chemistry results were left in the article by mistake:
********
No. 1
The following is a DFT calculation (ωB97M-V with the def2-TZVPD basis set) of a molecular structure, C35H31Cl3N2NaO2P.

Its total charge is -2. The spin multiplicity is 1. For the HOMO energy (alpha / beta), the calculation gives -0.0976 / -0.0899 Eh. As for the energy relative to the best compared isomer or geometry (same formula, charge and spin): 119.5 kJ/mol.

Geometry as XYZ:
```
75
C35H31Cl3N2NaO2P | the Open Molecules 2025 dataset | ωB97M-V with the def2-TZVPD basis set
Na -1.19 0.00 -0.40
C 1.32 2.11 0.27
C 2.23 1.12 0.33
C 2.41 0.68 1.79
C 1.43 1.60 2.52
C 0.82 2.40 1.63
C -0.22 3.45 1.86
C 1.19 1.60 3.99
C 2.33 -1.31 3.46
C 3.04 0.61 -0.82
C 0.84 2.87 -0.92
H -1.13 3.22 1.29
H 0.13 4.43 1.53
H -0.51 3.52 2.91
H 0.58 0.75 4.31
H 0.66 2.51 4.29
H 2.13 1.57 4.56
H 1.66 -2.14 3.70
H 2.19 -0.54 4.21
H 3.36 -1.67 3.54
H 2.67 -0.36 -1.19
H 4.09 0.48 -0.54
H 2.99 1.30 -1.66
H -0.24 2.75 -1.04
H 1.31 2.54 -1.85
H 1.04 3.94 -0.79
O -1.19 -1.24 1.91
C -1.03 -2.06 0.99
O -1.63 -2.08 -0.12
C 0.10 -3.11 1.15
P 1.51 -2.72 0.02
C 2.66 -1.80 1.08
C 2.03 -0.81 2.03
C 3.82 0.98 2.22
C 4.91 0.18 2.10
C 5.02 -1.12 1.52
C 4.02 -1.94 0.97
C 2.33 -4.36 -0.10
C 2.69 -5.12 1.01
C 3.27 -6.37 0.87
C 3.51 -6.88 -0.41
C 3.16 -6.13 -1.52
C 2.57 -4.88 -1.37
H -0.29 -4.07 0.80
H 0.41 -3.20 2.19
H 0.94 -0.85 1.92
H 3.98 1.98 2.62
H 5.85 0.60 2.44
H 6.03 -1.49 1.42
H 4.39 -2.78 0.38
H 2.52 -4.71 2.01
H 3.55 -6.94 1.74
H 3.96 -7.85 -0.52
H 3.34 -6.52 -2.52
H 2.30 -4.30 -2.24
Cl 0.56 -1.64 -5.91
C 0.38 -0.11 -5.14
Cl 2.72 0.95 -5.60
Cl -0.67 1.01 -5.92
C 0.38 -0.11 -3.74
N 0.43 -0.08 -2.59
N -8.11 7.79 -0.13
C -7.32 6.96 -0.20
C -6.33 5.92 -0.28
C -5.22 6.07 -1.12
C -4.28 5.07 -1.19
C -4.39 3.89 -0.44
C -5.52 3.76 0.39
C -6.47 4.75 0.47
C -3.41 2.87 -0.51
C -2.54 2.00 -0.58
H -5.11 6.97 -1.70
H -3.42 5.18 -1.84
H -5.63 2.85 0.98
H -7.33 4.63 1.12
```

Löwdin atomic charge list, values in e, 4 entries: 0.284 -0.182 -0.141 -0.292

No. 2
The following is a DFT calculation (ωB97M-V with the def2-TZVPD basis set) of a molecular structure, C35H31FN4O4P2Sn.

Its total charge is 0. The spin multiplicity is 1. For the HOMO energy, the calculation gives -0.2757 Eh.

Geometry as XYZ:
```
78
C35H31FN4O4P2Sn | the Open Molecules 2025 dataset | ωB97M-V with the def2-TZVPD basis set
Sn 1.34 1.82 -0.99
C 2.60 3.66 2.37
C 1.34 4.06 1.69
N 0.76 3.42 0.69
C -0.38 4.11 0.35
C -0.50 5.19 1.18
N 0.60 5.13 2.01
C -1.47 6.30 1.35
O -2.56 6.25 0.63
O -1.22 7.17 2.15
C -1.25 3.60 -0.74
O -2.37 4.13 -0.90
O -0.78 2.63 -1.41
H 2.93 2.70 1.97
H 2.46 3.57 3.45
H 3.39 4.40 2.18
H 0.77 5.82 2.72
H -2.57 5.43 0.02
N 0.10 -1.78 -0.19
P 0.90 -1.41 -1.73
C 0.88 -3.11 -2.45
C 1.35 -3.23 -3.76
C 1.33 -4.45 -4.41
C 0.85 -5.58 -3.76
C 0.41 -5.48 -2.45
C 0.42 -4.25 -1.79
C -0.47 -0.73 -2.74
C -0.14 0.25 -3.67
C -1.10 0.78 -4.51
C -2.42 0.36 -4.40
C -2.76 -0.63 -3.48
C -1.78 -1.20 -2.68
P -0.50 -0.41 0.72
C -2.32 -0.57 0.45
C -3.07 0.57 0.24
C -4.44 0.47 0.00
C -5.05 -0.77 -0.02
C -4.30 -1.92 0.22
********
The quantum chemistry results stop here:

Some 22,055 Indigenous people of working age lived in the remote areas of NT, of which 1912 were employed.

Mr Morris said that in considering the question of increasing employment rates in Indigenous communities, it was important to remember that a one-size-fits-all approach would not be effective.

Someone pasted records of molecules at this point
~~~
Here is an isolated molecule of C13H14NP from OMol25. Energies are from ωB97M-V with the def2-TZVPD basis set.

```
29
Properties=species:S:1:pos:R:3:forces:R:3
C -0.974263 0.620678 -3.365238 0.9 -0.9 1.6
C -2.009740 -0.228205 -3.035128 -2.5 1.3 0.3
C -0.055451 0.927053 -2.330943 -1.0 -0.9 0.1
C -2.290850 -0.530296 -1.684509 1.3 -1.0 -1.0
C -0.192794 0.442577 -0.997585 -0.5 0.6 -1.8
C -1.379729 -0.339412 -0.646976 1.9 2.0 -1.7
C 2.118557 1.187271 -0.013688 -2.5 -0.3 -1.9
C 0.793508 1.262866 2.528858 -1.2 -1.2 2.0
C 0.746835 0.892437 0.036135 2.7 -0.2 0.4
C 0.325679 0.821912 1.382126 -1.3 0.1 1.4
C 2.884125 1.460334 1.280071 3.4 -0.2 -1.6
C 2.115099 1.986232 2.487816 0.0 -0.6 0.2
C -1.267671 -3.517312 0.496782 -5.5 3.3 1.3
N -1.643428 -0.674516 0.625912 -0.1 1.0 0.8
P -1.120601 -1.877511 1.607808 0.1 -2.5 -0.2
H -0.816287 0.945587 -4.369488 0.1 0.3 -0.4
H -2.908071 -0.329000 -3.722368 1.5 -0.4 0.6
H 0.744697 1.583047 -2.616675 0.4 0.2 0.4
H -3.097136 -1.187546 -1.508209 -1.1 -0.3 0.4
H 2.552568 1.112428 -1.089167 -0.1 0.3 2.3
H 0.267641 1.145521 3.560702 0.8 0.1 -2.1
H 3.449388 0.447628 1.453491 -1.1 1.6 0.3
H 3.788432 2.170378 1.041102 -1.7 -1.1 0.4
H 1.765850 3.003014 2.360038 0.7 0.7 -0.1
H 2.720613 1.896752 3.437490 -0.7 0.1 -1.1
H -0.364401 -3.534107 0.087464 3.5 -1.0 -2.2
H -2.149440 -3.140744 -0.215861 2.2 -1.3 1.1
H -1.637629 -4.346725 1.109840 0.5 0.2 -0.2
H -2.365500 -2.200339 2.100199 -0.8 0.2 0.9
```
Positions in Å, forces in eV/Å.

Output
net charge	0
LUMO energy (alpha / beta)	-0.96 / 0.08	eV
ΔE to the lowest compared entry with this formula, charge and spin	441.3	kJ/mol
Kohn-Sham gap (alpha / beta)	6.7 / 7.8	eV

Atom-resolved charges from natural (NBO), all expressed in e:
1. C -0.247
2. C -0.189
3. C -0.163
4. C -0.239
5. C -0.081
6. C 0.126
7. C -0.130
8. C -0.310
9. C -0.192
10. C 0.215
11. C -0.448
12. C -0.430
13. C -0.863
14. N -0.649
15. P 0.806
16. H 0.216
17. H 0.215
18. H 0.209
19. H 0.208
20. H 0.222
21. H 0.238
22. H 0.225
23. H 0.230
24. H 0.217
25. H 0.229
26. H 0.202
27. H 0.217
28. H 0.232
29. H -0.068

Here is an isolated molecule of C13H14O from OMol25. Energies are from ωB97M-V with the def2-TZVPD basis set.

```
28
Properties=species:S:1:pos:R:3:forces:R:3
C -3.185361 0.009949 1.723920 -1.9 0.6 2.5
C -3.236985 -1.043679 0.672911 3.8 -0.6 -2.6
C -2.493647 -0.479178 -0.683529 -1.7 -0.3 1.5
O -3.236214 0.636241 -1.242458 -2.8 -3.0 -2.6
C -1.104735 -0.075864 -0.344984 1.9 1.8 -0.8
C -0.753698 1.351953 -0.145391 -0.6 -3.5 0.0
C 0.532861 1.708717 0.030742 0.0 0.5 -0.1
C 1.616276 0.814471 0.002548 2.0 -1.1 -1.0
C 3.041456 1.141551 0.139828 -3.8 0.7 0.2
C 3.964651 0.208100 0.317169 2.7 1.0 1.2
C 3.732785 -1.115632 0.141823 -1.7 -2.4 -0.6
C 2.440720 -1.446308 -0.256392 0.1 -1.4 0.2
C 1.340043 -0.557218 -0.271380 -0.3 1.5 0.8
C -0.053083 -0.939821 -0.411487 1.5 -0.7 0.2
H -3.867125 0.817928 1.298025 0.8 -0.7 1.1
H -2.262896 0.515144 2.137332 -0.6 -1.0 -1.1
H -3.670091 -0.497864 2.666432 0.6 1.4 -1.5
~~~

An important starting point was to recognise and acknowledge difference, and to concentrate on developing a range of choices and opportunities for business and employment in urban and remote areas.

Mr Morris urged people involved in developing Indigenous employment to: Work in partnerships, be involved in two-way listening, build on strengths, foster role models, celebrate success, be prepared to take risks (and fail), learn from success and failure, and be flexible.

== The piece is interrupted by records of molecules ==
~~~
# C48H76N12O16

A 12-piece molecular cluster, C48H76N12O16 overall in a non-equilibrium geometry (wB97M-V/def2-TZVPD, the Open Molecules 2025 dataset).

Computed properties:
SMILES = O=[N+]([O-])c1ccccc1.O=[N+]([O-])c1ccccc1.O=[N+]([O-])c1ccccc1.O=[N+]([O-])c1ccccc1.CN(C)C=O.CN(C)C=O.CN(C)C=O.CN(C)C=O.CN(C)C=O.CN(C)C=O.CN(C)C=O.CN(C)C=O
Strongest force on any atom = 0.10400 hartree/bohr
Energy above the lowest of the compared OMol25 structures with the same formula, charge and spin = 34.1 kcal/mol
Energy = -3734.886556 a.u.
Frontier orbital gap = 8.210 eV
Multiplicity = 1
LUMO = -0.904 eV
Highest occupied orbital energy = -9.1 eV
Total charge = 0

Structure (XYZ):
```
152
Properties=species:S:1:pos:R:3:forces:R:3:mulliken_charge:R:1
O -10.95852 11.56407 2.52369 0.1 0.5 -0.6 -0.562
N -10.80800 10.57019 3.18073 -0.6 -0.3 1.6 0.942
O -11.41322 10.37975 4.25815 1.4 -0.5 -1.8 -0.574
C -9.83177 9.57461 2.66268 0.8 -1.7 -0.1 -0.042
C -9.60573 8.34446 3.32741 -1.9 1.9 0.9 -0.243
C -8.74935 7.44281 2.84162 1.2 -1.8 0.2 -0.342
C -8.01604 7.61801 1.69315 0.5 0.2 -0.9 -0.405
C -8.10337 8.81894 1.04339 -1.3 1.6 1.0 -0.448
C -9.05002 9.79051 1.52718 0.7 0.1 -0.1 -0.197
H -10.09002 8.04901 4.24641 -0.3 0.6 0.1 0.392
H -8.54861 6.59000 3.47315 -0.2 -0.4 -0.2 0.336
H -7.36414 6.85944 1.28571 0.2 -0.1 0.3 0.381
H -7.38874 9.12409 0.29333 -0.3 -0.2 -0.4 0.365
H -9.05599 10.75258 1.03649 -0.3 0.1 0.0 0.399
O 5.13609 -2.65134 7.95978 1.1 0.9 -1.3 -0.563
N 5.23932 -2.04425 6.87804 -1.0 -0.9 2.1 0.894
O 4.28896 -1.98817 6.11712 0.9 0.6 -0.4 -0.550
C 6.52754 -1.36979 6.53792 1.0 -0.6 -0.2 0.254
C 7.74628 -1.81951 7.06171 -0.5 -0.4 0.1 -0.204
C 8.98813 -1.36056 6.57667 -1.2 0.9 0.5 -0.488
C 8.96285 -0.33973 5.63932 -1.4 -0.6 -0.6 -0.412
C 7.70098 0.00419 5.05851 2.1 2.1 -0.1 -0.438
C 6.51134 -0.39354 5.53963 -1.6 -2.2 1.3 -0.401
H 7.74169 -2.52528 7.87918 -0.1 -0.2 -0.1 0.402
H 9.89279 -1.70457 7.05590 0.1 0.0 -0.1 0.372
H 9.85696 0.18675 5.33969 0.0 -0.2 -0.2 0.379
H 7.66785 0.80695 4.33680 0.3 0.0 -0.3 0.339
H 5.49734 -0.14779 5.26067 0.3 0.6 -0.8 0.415
O -2.88482 2.61977 -10.26571 1.6 1.1 -1.5 -0.576
N -1.83606 3.12985 -9.87680 0.2 -1.2 2.5 0.909
O -1.60796 3.14457 -8.66334 0.5 0.6 -0.9 -0.568
C -0.69439 3.70441 -10.72600 -0.7 -0.2 -1.0 0.304
C -0.96717 3.76972 -12.11269 0.2 2.1 0.2 -0.368
C -0.15882 4.60610 -12.88251 -0.6 -0.7 -0.3 -0.343
C 1.00108 5.12416 -12.40069 1.5 0.4 1.0 -0.384
C 1.33970 5.03200 -11.06088 -1.5 -2.2 1.1 -0.363
C 0.48190 4.26024 -10.15624 -0.1 1.4 -2.0 -0.421
H -1.88421 3.55850 -12.64262 -0.3 -0.8 0.9 0.342
H -0.44949 4.95106 -13.86379 -0.2 -0.7 -0.3 0.346
H 1.72621 5.58370 -13.05599 -0.2 0.5 -0.2 0.351
H 2.27194 5.47354 -10.74095 -0.1 -0.1 0.4 0.359
H 0.70041 4.27880 -9.09874 -0.3 -0.3 0.0 0.413
O -2.86338 0.86638 -0.00369 1.1 -0.8 1.0 -0.564
N -2.04693 0.37879 0.79023 -0.5 0.8 -0.3 0.935
O -2.13220 0.49004 2.00868 0.4 -0.5 -1.2 -0.561
C -0.87542 -0.33301 0.18966 1.0 0.0 -1.9 0.144
C -0.60096 -0.16825 -1.22962 -1.3 0.7 1.9 -0.338
~~~

The current skills shortages in the thriving Australian economy created many mainstream opportunities for Indigenous communities, including in the retail and service industries, construction, mining and pastoral industries and in small business.

New and innovative approaches to Indigenous business needed to be adopted, particularly where there was a competitive advantage based on land ownership, intellectual property and motivation to work. Significant opportunities should be fostered in natural resource management, knowledge and research and the arts, he said.

He suggested that business and government acknowledge and explore alternate labour practices such as part-time work, seasonal work, consultancies, and labour pools, including investigating mixed or multi-sector suites of employment and productive economic activity.

Mr Morris urged the adoption of systematic frameworks for maximising Indigenous employment outcomes from government procurement and private sector activity.

Training should be linked to job outcomes. He suggested that the approach to Indigenous employment should involve “Backwards Mapping” in which job opportunities were identified and skill sets defined, skills audits were conducted, training was tailored to meet the skill gap, and a transition-to-work plan included on-going support and mentoring.